
What will it take to get you DRENCHED!? This class pushes your limits and beyond! All you get are 3 breaks in class… and then its a fast paced total body workout! Super motivating, lots of strength and incredible endurance! Grab a buddy, and push each other and maybe even bet on who will leave more DRENCHED! (Definitely a WEIGHTLOSS class!)

Fire Rounders!

If you’re looking to maximize weightloss and gain stamina this is your go to class! A Plyometric circuit training class that will leave you feeling motivated to FIRE up all of your weaknesses! Lets just say..If Werk Hiit and Drenched would have a baby, this would be the class!


Its time to take that flab to rehab! Sculpt, tone, and define your UPPER body to get that long and lean physique. A class designed to work everything above the belt! Arms, chest, back, shoulders, and Abs.Master the art of using your body weight with and without props!

Arms + Abs

Crystal structures that have nothing to do with the text:
- - -
[1]
Computed powder diffractogram of PrB2Rh2C for Cu Kα (λ = 1.5418 Å), from a cell relaxed with PBE.
Peak positions follow from Bragg's law for the DFT cell and can differ from measured ones.

Principal peaks in the range 5° ≤ 2θ ≤ 70°, sorted by position:
- d 3.640, I 319, (1 0 1)
- d 2.571, I 474, (0 0 4)
- d 2.426, I 1000, (1 1 2)
- d 1.946, I 283, (2 0 0)
- d 1.552, I 316, (2 0 4)
- d 1.455, I 210, (1 1 6)

Crystal structure
Cell lengths 3.893, 3.893, 10.280 Å; angles 90.00, 90.00, 90.00 degrees
Space group I4/mmm (No. 139)
Asymmetric unit:
Pr 0.000 0.000 0.000 [2 per cell]
B 0.000 0.000 0.354 [4 per cell]
Rh 0.000 0.500 0.250 [4 per cell]
C 0.000 0.000 0.500 [2 per cell]


[2]
Computed powder diffractogram of NaTmCl4 for Cu Kα (λ = 1.5418 Å), from a cell relaxed with PBE.
Peak positions follow from Bragg's law for the DFT cell and can differ from measured ones.

Principal peaks in the range 5° ≤ 2θ ≤ 70°, sorted by position:
- d 6.556, I 1000, (1 0 0)
- d 5.061, I 818, (0 1 1)
- d 4.981, I 621, (1 1 0)
- d 4.098, I 708, (1 1 -1)
- d 3.920, I 610, (1 1 1)
- d 2.934, I 737, (1 2 1)

Crystal structure
Cell lengths 6.569, 7.661, 6.753 Å; angles 90.00, 93.49, 90.00 degrees
Space group P2/c (No. 13)
Asymmetric unit:
Na 0.000 0.169 0.250 [2 per cell]
Tm 0.500 0.340 0.750 [2 per cell]
- - -

Full Body Ignition

A 45 minute endurance and strength training workout that will Ignite EVERY muscle in your body with a completely different exercise every minute with a 10 second rest in between. This class will keep you on your toes excited to know what the next exercise will be giving you no time to slack as well as no time to get bored!

Guns & Buns

Load them guns and bake them buns! A class focusing on arms and glutes!

Aerial HIIT

A powerful high intensity class where you will be mainly using your body weight along with the hammock to get your heart pumping. To wrap it up, you will be doing deep stretching towards the end of the class.

HIIT the BaRRe

Consider this class your secret recipe to your dream body! YES you read that right.. the perfect mix of Cardio and BARRE! This fast-paced class will keep you and your muscles wondering when the burn will be over and what are these new muscles you are feeling! Each class is designed differently meaning no two classes are the same, but that won’t be the only thing bringing you back.. your ultimate results will keep you coming back for more!

Hustle & Flow

A strong and empowering practice designed to open and strengthen every muscle while loosening and softening your joints. This class incorporates upper/lower body strength with weights to tone and define your shape. An athletic yoga practice including many different yoga styles… get ready to
Hustle & Flow!

Kids Aerial (8-12 Yrs)

Through physical activities kids learn about sportsmanship, setting goals, meeting challenges, teamwork, and the value of fitness. This class will ensure your loved one is healthier, happier, and stronger!

Lower Body Ignition

This class will completely IGNITE your Lower body for more than 24 hours! Strengthening your lower body with challenging weights.. challenging enough to leave you perfecting the penguin walk when leaving the studio.